The Czech Republic is a landlocked country located in the centre of Europe. The area of the Czech Republic is 78,866 km2 and its population is about 10.4 million people. The Czech Republic was part of the former Czechoslovakia until 1993 and it has been a member state of the European Union since May 2004. The Czech Republic is an industrialized country enjoying a decent gross domestic product (GDP) growth (6.6 percent in 2007). The GDP per capita is currently at about 82 percent of the average of the 27 EU member states. The largest cities in the Czech Republic are Prague (1.2 million), Brno (0.37 million), Ostrava (0.31 million), Plzen (0.16 million) and Olomouc (0.1 million).
The Czech Republic is a signatory of the Kyoto protocol with the obligation to reduce its greenhouse gas emissions by 8 percent from 1990 levels. The greenhouse gas emissions were down 26 percent in 2007.
The building ventilation market in the Czech Republic concentrates around commercial buildings (shopping malls, banks, movie theatres, restaurants, airports, etc.), where balanced mechanical ventilation with heat recovery is mostly used (usually as part of the central air-conditioning systems). The balanced mechanical ventilation systems are also used in newly built private office buildings, which very often have glass facades. The school buildings are usually naturally ventilated. Balanced mechanical ventilation is commonly used in lecture halls at universities but rarely used in offices and classrooms. The regulations for residential ventilation are rather loose with natural ventilation by opening windows considered satisfactory in most situations.
Thanks to its mid-continental location the Czech Republic has a moderate climate with four distinct seasons. Space heating accounts for most of the energy use in the building sector. Space cooling has been rather rare and it is mostly used in commercial buildings. Mechanical cooling is rarely used in residential buildings, schools and hospitals. The final energy consumption by sectors in the Czech Republic in 2006 can be seen in Fig. 1.
_Inserted here: calculated crystals_
+++
Entry 1:
First-principles (GGA-PBE) data for Cs6HCl5 after structural relaxation, as listed in Alexandria via LeMat-Bulk.

Values from the calculation:
Raw total energy in eV/atom: -3.1398
Total magnetization in μB/f.u.: 0.1

```
data_Cs6HCl5
_space_group_name_H-M_alt 'C 1 2/m 1'
_space_group_IT_number 12
_cell_length_a 8.572
_cell_length_b 14.859
_cell_length_c 8.569
_cell_angle_alpha 90.00
_cell_angle_beta 109.49
_cell_angle_gamma 90.00
loop_
_space_group_symop_operation_xyz
'x,y,z'
'-x,-y,-z'
'-x,y,-z'
'x,-y,z'
'x+1/2,y+1/2,z'
'-x+1/2,-y+1/2,-z'
'-x+1/2,y+1/2,-z'
'x+1/2,-y+1/2,z'
loop_
_atom_site_label
_atom_site_fract_x
_atom_site_fract_y
_atom_site_fract_z
_atom_site_occupancy
Cs1 0.240 0.000 0.258 1
Cs2 0.243 0.161 0.745 1
H1 0.000 0.000 0.500 1
Cl1 0.000 0.168 0.000 1
Cl2 0.000 0.334 0.500 1
Cl3 0.000 0.500 0.000 1
```



Entry 2:
First-principles (GGA-PBE) data for LiZr2Ru2 after structural relaxation, as listed in Alexandria via LeMat-Bulk.

Values from the calculation:
Energy above the lowest structure with this stoichiometry in meV/atom: 0
Raw total energy in eV/atom: -7.7609
Formation energy in eV per atom: -0.25
Total magnetization in μB/f.u.: 0.0

```
data_LiZr2Ru2
_space_group_name_H-M_alt 'P 4/m b m'
_space_group_IT_number 127
_space_group_name_Hall '-P 4 2ab'
_cell_length_a 7.546
_cell_length_b 7.546
_cell_length_c 3.244
_cell_angle_alpha 90.00
_cell_angle_beta 90.00
_cell_angle_gamma 90.00
loop_
_atom_site_label
_atom_site_fract_x
_atom_site_fract_y
_atom_site_fract_z
_atom_site_occupancy
Li1 0.000 0.000 0.000 1
Zr1 0.156 0.344 0.500 1
Ru1 0.141 0.641 0.000 1
```



Entry 3:
First-principles (GGA-PBE) data for Pd2Pt3Au after structural relaxation, as listed in Alexandria via LeMat-Bulk.

Values from the calculation:
Energy above the lowest structure with this stoichiometry in meV/atom: 36
Raw total energy in eV/atom: -5.2718
Formation energy in eV per atom: 0.03
Total magnetization in μB/f.u.: 0.0

```
data_Pd2Pt3Au
_space_group_name_H-M_alt 'C 1 2/m 1'
_space_group_IT_number 12
_cell_length_a 13.235
_cell_length_b 3.357
_cell_length_c 9.111
_cell_angle_alpha 90.00
_cell_angle_beta 107.61
_cell_angle_gamma 90.00
loop_
_space_group_symop_operation_xyz
'x,y,z'
'-x,-y,-z'
'-x,y,-z'
'x,-y,z'
'x+1/2,y+1/2,z'
'-x+1/2,-y+1/2,-z'
'-x+1/2,y+1/2,-z'
'x+1/2,-y+1/2,z'
loop_
_atom_site_label
_atom_site_fract_x
_atom_site_fract_y
_atom_site_fract_z
_atom_site_occupancy
Pd1 0.043 0.000 0.369 1
Pd2 0.209 0.500 0.372 1
Pt1 0.040 0.500 0.878 1
Pt2 0.127 0.000 0.124 1
Pt3 0.207 0.000 0.877 1
Au1 0.123 0.500 0.621 1
```



Entry 4:
First-principles (GGA-PBE) data for NdMn2Ni5 after structural relaxation, as listed in Alexandria via LeMat-Bulk.

Values from the calculation:
Raw total energy in eV/atom: -6.4955
Formation energy in eV per atom: 0.01
Total magnetization in μB/f.u.: 8.2

```
data_NdMn2Ni5
_space_group_name_H-M_alt 'I m m m'
_space_group_IT_number 71
_space_group_name_Hall '-I 2 2'
_cell_length_a 3.738
_cell_length_b 6.625
+++
_The calculated crystals stop here_
Industry accounts for the largest portion of final energy use. The share of transportation is lower than in other developed countries. Households account roughly for one quarter of the final energy use. The pie chart in Fig. 2 shows the breakdown of energy use in households. The coal-fired and wood-fired boilers are still quite common in family houses in the country what makes the share of solid fuel consumption in households relatively high.
The last census in the Czech Republic took place on March 1, 2001. Various data on the housing stock were collected in the census. The basic structure of the Czech housing stock can be seen in Table 1. The discrepancy between the total number of dwellings and the number of permanently inhabited dwellings does not mean that there were half a million uninhabited dwelling in the Czech Republic in 2001. A dwelling is considered permanently inhabited if someone refers to it as the place of permanent residence. If neither the owners nor the tenants use the dwelling as their place of permanent residence (e.g. students renting an apartment while studying in a city) the dwellings shows in the statistics as not permanently inhabited.
VIP 27: Trends in the Czech building ventilation market and drivers for changes

Languages: English | Pages: 8 pp
Bibliographic info:
AIVC VIP 27, 2008, 8 pp
Original title:
Trends in the Czech building ventilation market and drivers for changes